QM 1 Randomness - Research Design & Evaluation

What is randomness?
Stephen Gorard
Durham University
A basic view of randomness
In statistics and the philosophy of science, randomness means something rather more than its
everyday meaning of haphazard. A random event is one that is completely unpredictable in form,
outcome or timing. Randomness is the quality of such an event – its unpredictability, lack of
intention, and lack of long-term patterning. Applied to a set of numbers, randomness means that
each number in the set is unrelated to any other. It means that knowing one or more numbers in the
set will not help identify any other numbers in the set (in the same range). For example, if a standard
six-side die roll has a random outcome, then knowing the previous 10, 100 or 1,000 results from that
die will not assist prediction of the next one. The chances of guessing the result of the next roll
correctly remain 1 in 6, however many rolls have been seen previously. Randomness is the
characteristic of chance.
Apparent patterns in random events
There are three apparent exceptions to the lack of pattern in random events, but none disturb the
explanation given above. First, there will be short-term patterns in random events just like shapes in
the clouds. A die can roll a 6 ten times in a row and still be random. In fact, if this never happened its
randomness might be doubted. Second, random events can have a clear probability distribution over
a large number of events, and this is a kind of pattern. For a die roll the distribution is called uniform
because each outcome has the same likelihood. So, over a very large number of rolls the outcomes
These records of molecules were left in the piece by mistake:
- - -
No. 1
Entry from the Open Molecules 2025 dataset: C14H42ClNiO11 as an isolated structure in a non-equilibrium geometry (the ωB97M-V functional and the def2-TZVPD basis).

ORCA input file:
```
! RIJCOSX wB97M-V def2-TZVPD def2/J DEFGRID3
* xyz 1 3
Ni -8.827 14.975 -27.911
Cl -8.833 15.707 -31.420
O -8.905 15.811 -29.972
O -7.454 15.951 -31.721
O -9.225 14.370 -31.793
O -9.580 16.671 -32.172
C -6.301 17.954 -28.691
C -6.034 16.823 -27.752
O -6.877 15.689 -28.056
H -5.856 18.846 -28.249
H -7.349 18.095 -28.951
H -5.831 17.787 -29.664
H -6.133 17.128 -26.712
H -4.989 16.538 -27.894
H -6.454 15.249 -28.809
C -8.726 18.611 -25.539
C -9.840 17.847 -26.204
O -9.382 17.181 -27.406
H -9.111 19.054 -24.621
H -8.427 19.463 -26.158
H -7.798 18.048 -25.462
H -10.675 18.507 -26.449
H -10.301 17.136 -25.515
H -9.473 17.869 -28.095
C -9.075 19.852 -31.414
C -10.188 19.595 -30.389
O -9.615 19.452 -29.092
H -8.459 18.953 -31.488
H -8.418 20.671 -31.109
H -9.424 20.085 -32.420
H -10.859 18.863 -30.838
H -10.811 20.494 -30.305
H -9.128 20.271 -28.960
C -11.555 18.687 -34.358
C -11.884 19.923 -35.161
O -12.232 21.020 -34.330
H -12.377 18.521 -33.660
H -10.709 18.890 -33.692
H -11.240 17.830 -34.948
H -12.742 19.632 -35.778
H -11.053 20.225 -35.805
H -12.411 21.763 -34.912
C -2.810 16.042 -34.284
C -4.238 15.728 -33.871
O -4.329 15.922 -32.469
H -2.118 15.311 -33.858
H -2.468 17.020 -33.942
H -2.632 16.024 -35.360
H -4.570 14.767 -34.271
H -4.916 16.437 -34.355
H -5.210 15.765 -32.120
C -9.371 14.951 -36.100
C -8.094 14.302 -35.617
O -7.239 15.308 -35.070
H -9.834 15.420 -35.222
H -10.095 14.286 -36.566
H -9.163 15.828 -36.715
H -7.534 13.844 -36.435
H -8.191 13.554 -34.824
H -7.811 15.867 -34.540
C -12.504 16.231 -28.698
C -11.741 14.951 -29.056
O -10.822 14.665 -27.949
H -13.263 16.457 -29.444
H -11.804 17.035 -28.486
H -13.067 16.027 -27.781
H -11.286 15.049 -30.036
H -12.448 14.124 -29.121
H -11.431 14.468 -27.227
*
```

HOMO energy (spin up / spin down) = -11.25 / -11.25 eV

These are the natural (NBO) partial charges, in e, on atoms 1 to 5:
1 Ni 1.686
2 Cl 2.555
3 O -0.996
4 O -0.864
5 O -0.820

No. 2
Entry from the Open Molecules 2025 dataset: C14H42MnNO10 as an isolated structure in a non-equilibrium geometry (the ωB97M-V functional and the def2-TZVPD basis).

ORCA input file:
```
! RIJCOSX wB97M-V def2-TZVPD def2/J DEFGRID3
* xyz 1 6
Mn 1.156 2.152 0.559
N -0.052 -0.890 -0.143
O 0.501 0.059 0.494
O 0.106 -2.053 0.260
O -0.662 -0.623 -1.183
C 1.536 1.952 4.733
C 2.588 2.192 3.685
O 2.154 1.651 2.387
H 0.560 2.405 4.560
H 1.870 2.308 5.710
H 1.355 0.878 4.826
H 3.544 1.721 3.915
H 2.829 3.256 3.639
H 2.420 0.723 2.480
C -0.852 -1.134 5.081
C -0.007 -1.841 3.988
O -0.903 -2.504 3.100
H -1.144 -0.160 4.691
H -0.256 -0.995 5.989
H -1.708 -1.733 5.382
H 0.700 -2.508 4.485
H 0.451 -1.036 3.402
H -0.572 -2.338 2.211
C -0.707 4.047 -2.601
C 0.259 2.906 -2.425
O -0.022 2.117 -1.209
H -0.953 4.630 -1.716
H -1.638 3.708 -3.066
H -0.338 4.740 -3.362
H 1.283 3.293 -2.404
- - -
will tend to be equal in occurrence – there will be something like 1 in 6 ones, 1 in 6 twos, and so on.
But this does not help to predict the next random event (to believe otherwise, and that the die
‘owes’ a six for example, is the gambler’s fallacy). Third, in real-life, true random events will be rare.
It is hard to imagine a die has been so perfectly manufactured and weighted that each side will have
precisely the same probability of occurrence. It is also possible to imagine that a person rolling the
die might be influenced slightly by the faces showing when the decision is made to release the die. In
real-life such events as rolling a die are therefore termed pseudo-random. They appear random and
they are practically as good as random (i.e. unpredictable). Even random number tables generated
by a computer must be based on the algorithm that creates them, and this creates the danger that
they are not truly random. Randomness is more of an ideal than a fact (but see Chapter 5 in Gorard
Randomness and social science
The term ‘random’ is widely used in social science in the context of sampling and statistical analysis.
A sample is random if all of the cases in it were selected by chance from a larger set of cases known
as the population, and if all of the cases in the population had a genuine chance of being in the
sample. A population itself is clearly not a random sample, and nor is a sample selected by other
means (ad hoc, convenience, purposive etc.). A sample selected at random but in which cases
cannot be found, do not respond, or are otherwise not recorded is no longer a random sample. And
there is no reason to believe that such missing cases are a random subset of the planned sample
either (those refusing to take part in a piece of research, for example, can be predicted on the basis
of their prior characteristics with more success than chance alone). A complete sample selected by a
pseudo-random number generator is a pseudo-random sample, and in everyday terms is
indistinguishable from a random sample. A sample in which selected cases are intentionally removed
or not available is no kind of random sample at all. None of the statistical techniques predicated on
working with a random sample can or should be used with populations or samples that are not
random or not complete. This means that p-values, standard errors, or confidence intervals should
not be cited, and tests of significance should not be conducted or reported, with such cases. And it
means that such use or reporting should be ignored in the work of others unless the study is based
on a complete random sample. In turn, the scarcity of true random samples in social science means
that such statistical techniques should rarely be used or reported (even though their abuse remains